We want to thank Xavier University’s Public Affairs Office and Councilperson Keith Moore, Chairman of the Community Development Committee, for sending us information about this Thursday’s presentation of the Norwood Housing Strategy, a study of local housing conducted by Property Advisors over the past several months. We hope every Norwood property owner will attend this important meeting.
Public Affairs announcement:
Everyone is encouraged to attend the presentation of the Norwood Housing Strategy on Thursday, November 13 at 7:00 p.m. at Norwood High School in the mini-auditorium. The Community Building Institute, along with Property Advisors, will be presenting the preliminary findings on housing research conducted over the past several months. The team, working with Norwood Mayor Tom Williams and Norwood City Council, has completed a physical conditions survey of all the housing in Norwood. It has conducted over 20 interviews with Norwood residents, realtors and property owners and business owners about their thoughts on the housing market. Market research has been done on property values, foreclosures, sales activity and other relevant housing information.
The meeting is intended to present this information and, most important, get the community’s feedback and comments. Based on that input, a set of recommendations will be developed about how best to accomplish the goals of the community for housing in the next several years. This work should be completed by the end of the year for the community’s consideration.
The Community Building Institute is a partnership between Xavier University and the United Way of Greater Cincinnati. The CBI team is a diverse group of community-building professionals from Greater Cincinnati with extensive grassroots experience in a wide range of areas including community planning, community organizing, public policy, media relations, government administration, nonprofit administration, geographic information systems, corporate philanthropy, community relations, programs for the disabled and home ownership.
**Quantum chemistry results that have nothing to do with the article:**
No. 1
This record from the Open Molecules 2025 dataset describes a structure of composition CH2ClO2S2 at a distorted geometry. The level of theory is ωB97M-V with the def2-TZVPD basis set.

Element x y z (Å)
1 C -0.186 -0.420 -0.235
2 O -1.731 3.231 -3.102
3 O -3.139 3.622 -1.175
4 S -0.448 4.696 -0.897
5 S -1.787 3.437 -1.640
6 Cl -1.258 0.760 -1.083
7 H 0.596 -0.890 -0.855
8 H 0.289 0.044 0.669

multiplicity	1
charge	-1
Kohn-Sham gap (alpha / beta)	5.52 / 7.61	eV
relative energy (zero: lowest compared OMol25 entry of this formula, charge and spin)	254.55	kJ/mol
E	-39355.818	eV

***

No. 2
This record from the Open Molecules 2025 dataset describes the molecule CH2ClOPS at a distorted geometry. The level of theory is ωB97M-V with the def2-TZVPD basis set.

Element x y z (Å)
1 O 0.994 0.376 -1.648
2 P 0.881 0.425 -0.243
3 S 2.560 0.751 0.743
4 C -0.940 -0.098 0.345
5 Cl -1.046 -1.730 -0.397
6 H -1.553 0.613 -0.288
7 H -0.895 -0.337 1.487

multiplicity	1
SMILES	O=P(=S)CCl
Kohn-Sham gap	8.86	eV
relative energy (zero: lowest compared OMol25 entry of this formula, charge and spin)	76.47	kJ/mol
E	-35762.730	eV

***

No. 3
This record from the Open Molecules 2025 dataset describes a cluster of 2 separate species, CH2ClP in total at a distorted geometry. The level of theory is ωB97M-V with the def2-TZVPD basis set.

Element x y z (Å)
1 C 0.011 -0.937 0.246
2 P 4.610 0.097 0.281
3 Cl 2.744 -0.147 -0.354
4 H 0.031 -0.416 1.108
5 H -0.816 -0.314 -0.297

multiplicity	1
Kohn-Sham gap (alpha / beta)	6.90 / 7.02	eV
relative energy (zero: lowest compared OMol25 entry of this formula, charge and spin)	582.76	kJ/mol
E	-22873.862	eV

***

No. 4
This record from the Open Molecules 2025 dataset describes a cluster of 2 separate species, CH2F2N2O in total at a distorted geometry. The level of theory is ωB97M-V with the def2-TZVPD basis set.

Element x y z (Å)
1 C -0.578 0.904 0.355
2 N -0.999 0.057 -0.525
3 N 1.765 -0.238 0.483
4 O -0.524 1.924 0.880
5 F 1.390 -1.232 1.397
6 F 1.424 -0.771 -0.786
7 H -0.719 -0.965 -0.670
8 H -1.760 0.322 -1.133

multiplicity	1
Kohn-Sham gap (alpha / beta)	9.10 / 6.75	eV
relative energy (zero: lowest compared OMol25 entry of this formula, charge and spin)	407.11	kJ/mol
E	-11525.806	eV

***

No. 5
This record from the Open Molecules 2025 dataset describes a cluster of 2 separate species, CH2F2O2 in total at a distorted geometry. The level of theory is ωB97M-V with the def2-TZVPD basis set.

Element x y z (Å)
1 C -0.101 -0.769 0.304
2 O -1.096 0.079 0.217
3 O -0.471 1.945 -0.535
4 F 0.442 -0.816 1.609
5 F 0.658 1.650 -1.086
6 H 0.735 -0.383 -0.458
7 H -0.167 -1.706 -0.051

multiplicity	1
Kohn-Sham gap (alpha / beta)	7.82 / 7.87	eV
relative energy (zero: lowest compared OMol25 entry of this formula, charge and spin)	919.52	kJ/mol
E	-10590.623	eV

***

No. 6
This record from the Open Molecules 2025 dataset describes the molecule CH2F2O3S2 at a distorted geometry. The level of theory is ωB97M-V with the def2-TZVPD basis set.
Keith Moore’s remarks:
The study included a visual rating of every piece of Norwood property, census data, info from the Hamilton County Auditor going back 3 years, interviews with 20 or so people familiar with Norwood and the housing market, and marketing data.
CBI and Property Advisors will present their findings (this is pretty much the same presentation that has been airing on Government Access), but it's incomplete without feedback from the community.
We're hoping to get as much input as possible on the study findings and on where to go from here.
The plan is to use this info to put together programs to improve investment in Norwood housing stock, attract new homeowners, and to transition property from rental to owner-occupied.